Entries.
+++
DFT (PBE) results for a geometry-optimized CuMoSe4 structure.

Cell and atoms, written as POSCAR:
```
CuMoSe4
1.0
0.000 3.968 3.968
3.968 0.000 3.968
3.968 3.968 0.000
Cu Mo Se
1 1 4
Direct
0.000 0.000 0.000 Cu
0.750 0.750 0.750 Mo
0.375 0.375 0.375 Se
0.375 0.375 0.876 Se
0.375 0.876 0.375 Se
0.876 0.375 0.375 Se
```

## Properties
- final energy (eV/atom) = -3.73
- DOS at the Fermi energy (states/eV/atom) = 0.72
- formation energy (no corrections) (eV/atom) = 1.079
+++
Request.
Now return the whole of the block further up character by character.
Response.
DFT (PBE) results for a geometry-optimized CuMoSe4 structure.

Cell and atoms, written as POSCAR:
```
CuMoSe4
1.0
0.000 3.968 3.968
3.968 0.000 3.968
3.968 3.968 0.000
Cu Mo Se
1 1 4
Direct
0.000 0.000 0.000 Cu
0.750 0.750 0.750 Mo
0.375 0.375 0.375 Se
0.375 0.375 0.876 Se
0.375 0.876 0.375 Se
0.876 0.375 0.375 Se
```

## Properties
- final energy (eV/atom) = -3.73
- DOS at the Fermi energy (states/eV/atom) = 0.72
- formation energy (no corrections) (eV/atom) = 1.079